-- Input --
A geometry-optimized Li3MnSiCO7 structure. Source: the Alexandria database, functional PBE with a Hubbard U.

Cell: 5.0634 8.5448 6.3148 Å, 90.00 90.00 85.83°
Last column: nearest neighbours and their distance in Å.
Fractional positions:
Li (0.7784, 0.1162, 0.2500)  4 O 1.90-2.10
Li (0.2216, 0.8838, 0.7500)  4 O 1.90-2.10
Li (0.2596, 0.2802, 0.0300)  4 O 2.08-2.14
Li (0.2596, 0.2803, 0.4700)  4 O 2.08-2.14
Li (0.7404, 0.7198, 0.5300)  4 O 2.08-2.14
Li (0.7404, 0.7198, 0.9700)  4 O 2.08-2.14
Mn (0.1899, 0.6694, 0.2500)  5 O 1.93-2.16
Mn (0.8101, 0.3306, 0.7500)  5 O 1.93-2.16
Si (0.7204, 0.4222, 0.2500)  4 O 1.63-1.66
Si (0.2796, 0.5778, 0.7500)  4 O 1.63-1.66
C (0.7087, 0.0335, 0.7500)  3 O 1.28-1.32
C (0.2912, 0.9665, 0.2500)  3 O 1.28-1.32
O (0.3863, 0.1031, 0.2500)  1 C 1.29
O (0.6136, 0.8970, 0.7500)  1 C 1.29
O (0.9575, 0.0528, 0.7500)  1 C 1.28
O (0.0425, 0.9472, 0.2500)  1 C 1.28
O (0.5440, 0.1611, 0.7500)  1 C 1.32
O (0.4559, 0.8389, 0.2500)  1 C 1.32
O (0.3961, 0.4395, 0.2500)  1 Si 1.64
O (0.6040, 0.5605, 0.7500)  1 Si 1.64
O (0.1711, 0.4022, 0.7500)  1 Si 1.63
O (0.8290, 0.5978, 0.2500)  1 Si 1.63
O (0.8374, 0.3088, 0.0535)  1 Si 1.66
O (0.8374, 0.3088, 0.4464)  1 Si 1.66
O (0.1626, 0.6912, 0.5535)  1 Si 1.66
O (0.1626, 0.6912, 0.9465)  1 Si 1.66

Properties
The value obtained for the final energy is -6.86 eV per atom. The calculation puts the density at 2777 kg/m³.
-- Brief --
Now type out every line above that contains the word "PBE".
-- Result --
A geometry-optimized Li3MnSiCO7 structure. Source: the Alexandria database, functional PBE with a Hubbard U.